We are taking the threat of heavy rainfall next week seriously

In brief: We’re continuing to follow the possibility of heavy rainfall next week in the greater Houston area, especially for coastal areas. We’re still far from having all of the details, but we know enough to take the threat seriously.

Weekend outlook

Happy Saturday, everyone. If sunshine and heat are your jam, you’re in luck this weekend. Today, especially, will bring brilliant blue skies and temperatures in the mid-90s. There may be a few clouds tomorrow, but I still expect mostly sunny skies on Sunday, with high temperatures in the low- to mid-90s. It’s possible we’ll see a few isolated showers and thunderstorms during the afternoon and evening hours on Sunday, but most of us will simply be sunny and warm.

And then it won’t be.

NOAA rain forecast for now through next Thursday. (Weather Bell)

Next week

The overall pattern appears unsettled for most of next week, with a very healthy chance of showers each day, and the middle of the week especially concerning. A low pressure system over the southern Gulf of Mexico will help push a large plume of tropical moisture into Texas and Louisiana. This threat of heavy rainfall next week will materialize whether the low in the southern Gulf becomes a tropical depression or storm. In fact, it doesn’t really matter. The table is set, regardless.

Over the last 24 hours some of our guidance has been showing excessive amounts of rainfall along the Gulf coast, but whether these bullseyes occur over Matagorda Bay, Galveston Bay, Port Arthur, or Southern Louisiana is something we cannot say. In terms of timing, the greatest threat of heavy rainfall likely will come during a period from Tuesday evening through Thursday morning.

Next Wednesday morning precipitable water levels are forecast to be nearly 200 percent of norma levels. (Weather Bell)

So what does this all mean? If you live inland of Interstate 10, the overall risk is lower. Most of these areas are likely to pick up 2 to 4 inches between Monday and Friday. However, areas along and south of Interstate 10 are likely to see 4 to 6 inches of rainfall next week. Our concern is that some localized areas may see 10 inches or more of rainfall next week given the tropical nature of this rainfall. The expected level of moisture in the atmosphere—a value known as precipitable water—is very high, and such levels are capable of producing high rainfall rates that can quickly flood streets. We don’t know for sure whether this kind of pattern will establish itself over the Houston area, but it is a distinct possibility.

I’m writing all of this on a Saturday morning not to scare you, but rather to prepare you for the possibility of heavy rainfall next week. We will continue to watch this closely, and update this weekend as warranted.

Details continue to evolve on next week’s rain in Houston with a focus now on midweek

In brief: After a quiet weekend, rain chances pick back up Monday and Tuesday before potentially heavier and more widespread rain on Wednesday and Thursday. Tropical development in the Bay of Campeche will not directly impact Houston, but indirect impacts with rough seas, gusty coastal winds, and some tidal flooding will be possible.

Right out of the gate, we want to make sure people understand that next week’s weather is being driven by two entities: The first is the potential tropical system in the Bay of Campeche, which will not directly impact us. But the second will be the heavy rainfall on the north side, tangentially associated with it that will impact us. The latter continues to give us some forecast headaches, which we’ll explain below.

Today and Saturday

No issues are expected with plentiful sunshine. As always, a rogue downpour is possible in the afternoon, but much like yesterday it should be quick moving and very localized. Daytime highs will be in the low to mid-90s with elevated ozone levels as well, so poor air quality will be noticeable. Morning lows should be in the 70s tomorrow.


For now, we expect much the same for Sunday, though a few extra clouds could begin to sneak in for the second half of the day, along with an isolated shower or downpour.

Total forecast rainfall from the NWS for next week is around 3 to 6 inches, with higher amounts close to Galveston. (Weather Bell)

Monday & Tuesday

We expect scattered to potentially numerous showers and thunderstorms in the area on Monday and Tuesday afternoons, though it’s a bit soon to pin down exactly where these will be most likely. Think of the first couple days of the week as slightly juicier typical summer days. There could be a handful of stronger storms or localized heavy downpours. This should keep temperatures down a bit as well, mostly in the 80s to near 90 degrees.

Wednesday & Thursday

We are beginning to see decent model agreement that Tuesday night, Wednesday, and early Thursday will feature our highest rain chances, and with that will likely come some heavy rainfall. I think this is the timeframe where I would be watching closest for potential flash flooding. The trouble right now is that our models widely differ on where this occurs. Our typical physics-based models are focusing things on the entirety of the Texas coast, while our newer AI models favor Houston into Louisiana for the heaviest rainfall.

The physics-based classic ECMWF operational model at left vs. the newer AI-driven ECMWF at right show some significant details on rain placement next week, the the AI model focusing the higher totals closer to Houston and classic modeling more spread out or even focused to our southwest. (Pivotal Weather)

One other possibility in this scenario is that a lot of rain falls at the immediate coast or offshore, which ends up depriving inland areas of moisture. So there is at least a chance that we see a very sharp gradient of rainfall next week with high totals near Galveston and very manageable totals in Houston. Things should hopefully quiet down later Thursday and Friday, regardless.

Marine impacts

In addition to the rainfall, we will likely see some pretty considerable wind and wave impacts over the open waters next week. With rather sustained easterly or east-southeast 20 to 30 mph winds nearshore and 30 to 35 mph winds offshore, look for waves to begin to build to 8 to 10 feet over the Gulf by midweek. I would anticipate nuisance to minor tidal flooding issues as we hit high tide cycles on Wednesday and Thursday. We’ll want to keep tabs on this just because of the persistence of the onshore flow next week.

Bay of Campeche system

We continue to see about a 50/50 shot that a tropical system develops in the Bay of Campeche next week.

The National Hurricane Center has about 50 percent odds that a tropical system formally develops in the Bay of Campeche next week before sliding into Mexico. (NOAA NHC)

As noted above, this is related but separate from the rain we see next week. While development (low-end) is becoming more possible or likely, it is expected to quickly slide ashore in Mexico, so no direct impacts are expected on the Texas coast.

**The text is interrupted by molecular data**
- - -
C10H20N6O4 | ωB97M-V with the def2-TZVPD basis set

Its energy above the lowest of the compared OMol25 structures with the same formula, charge and spin is 104.5 kcal/mol. The HOMO-LUMO gap comes out at 0.3210 Ha. The value obtained for the max |F| is 7.03 eV Å⁻¹. As for the charge: 0. For the HOMO energy, the calculation gives -8.588 eV.

Geometry as XYZ:
```
40
Properties=species:S:1:pos:R:3:lowdin_charge:R:1
H -8.175 -0.790 -0.479 0.09
C 3.037 -0.217 0.124 -0.27
H 3.566 -0.741 -1.799 0.17
C 0.645 0.155 0.614 -0.40
H -3.742 -0.889 0.302 0.11
H 3.122 -0.582 1.112 0.17
C -1.432 1.053 -0.070 -0.19
H 1.333 -0.904 -1.009 0.18
C 3.771 -1.119 -0.730 -0.10
H -7.411 -0.533 -2.106 0.08
N 6.040 -0.287 -0.841 0.19
N -1.499 -0.756 1.498 0.02
H -5.608 -0.823 1.528 0.03
H 5.632 0.464 -1.208 0.00
H -0.985 -0.915 -0.607 0.17
C -0.813 -0.248 0.323 -0.38
H 3.070 -2.023 -0.454 0.18
H -1.670 1.752 0.763 0.14
N -6.464 -0.851 0.931 0.07
C 3.283 1.237 -0.105 -0.41
H -1.562 -1.795 1.736 0.10
H -0.752 1.543 -0.892 0.16
H -4.007 0.811 0.997 0.14
C -3.846 0.190 0.050 -0.26
O 2.594 2.007 0.753 0.14
O 5.443 -2.251 0.303 0.04
O 0.816 0.911 1.569 0.08
C -6.245 -0.484 -0.307 -0.52
O 4.193 1.697 -0.809 0.08
C 5.195 -1.274 -0.405 -0.52
H 7.103 -0.310 -0.604 0.18
C -2.776 0.775 -0.806 -0.23
N -7.407 -0.531 -1.099 0.08
H 1.902 1.566 1.255 -0.06
H -2.506 0.193 -1.735 0.13
H -0.730 -0.337 2.374 0.20
H -5.139 1.088 -1.380 0.13
H -3.117 1.813 -1.171 0.13
N -5.084 0.226 -0.789 -0.01
N 1.613 -0.359 -0.168 0.14
```

~~~~~

(1)
C16H24CaO14 | ωB97M-V/def2-TZVPD

ORCA input file:
```
! wB97M-V def2-TZVPD RIJCOSX def2/J DEFGRID3
* xyz -2 1
Ca 1.5628 0.1200 -2.9071
C 4.9666 -1.8744 -8.2127
C 3.5456 -2.3009 -8.0221
O 3.0368 -3.1585 -8.7840
O 2.9047 -1.7794 -7.0846
H 5.6596 -2.0430 -7.3884
H 4.8806 -0.8455 -8.5622
H 5.5087 -2.3298 -9.0414
C -5.1554 2.2564 -4.4178
C -3.8658 1.7091 -3.7730
O -3.4009 2.1969 -2.7480
O -3.3072 0.6597 -4.2895
H -5.0028 2.4373 -5.4818
H -5.2229 3.2909 -4.0814
H -6.0904 1.7384 -4.2046
C 4.9529 6.2165 -2.7767
C 3.7506 5.2476 -2.8674
O 3.8121 4.3259 -3.6480
O 2.7805 5.3565 -2.1203
H 4.8899 6.9701 -1.9917
H 5.4079 6.4696 -3.7343
H 5.7785 5.6256 -2.3801
C 0.5254 -1.4654 3.8228
C 0.3736 -0.1599 3.0737
O -0.5525 0.5723 3.5190
O 0.8947 0.0027 1.9879
H -0.0800 -1.3436 4.7210
H 1.6023 -1.5099 3.9851
H 0.0954 -2.2605 3.2137
C 10.6364 -3.9399 1.0985
C 10.0419 -2.6084 0.5548
C 10.6589 -2.1857 -0.7636
O 9.4528 -1.7966 -1.4868
C 8.3845 -2.0261 -0.8805
O 7.2709 -1.7967 -1.2934
O 8.7223 -2.7366 0.1867
H 9.9332 -4.4033 1.7905
H 11.5523 -3.7690 1.6642
H 10.8643 -4.6803 0.3318
H 10.0616 -1.7661 1.2463
H 11.3663 -2.8297 -1.2860
H 11.0505 -1.1991 -0.5157
C 5.6735 -8.7448 -1.7807
C 4.3238 -8.3568 -1.1022
C 4.4489 -7.8668 0.3384
O 3.9413 -6.5319 0.2790
C 3.4043 -6.3524 -1.0271
O 2.8926 -5.3979 -1.5876
O 3.5832 -7.4582 -1.7380
H 6.3958 -7.9426 -1.6298
H 5.5908 -8.8575 -2.8617
H 6.1354 -9.6065 -1.2988
H 3.8398 -9.3321 -1.0502
H 5.5139 -8.0147 0.5177
H 3.8326 -8.4422 1.0292
*
```
- - -

Beyond this, there may be another sloppy system that tries to develop the week of June 24th, but we have plenty of time to watch that. We’ll have more on next week’s rainfall situation over the weekend.

Here’s what to expect from the tropical disturbance in the Southern Gulf of Mexico

In brief: Houston will see a few more isolated to scattered showers and thunderstorms today, but overall our pattern will turn sunnier and a bit hotter through Saturday. After that the focus turns to the Gulf of Mexico, where a tropical disturbance is likely to develop. Local rain chances start to increase on Sunday, but at this point we expect the heaviest rain associated with this system to remain south of the Houston metro area.


As high pressure expands over the Southern United States, we’ll see decreased rain chances today, perhaps on the order of 20 percent. Like in recent days, any showers and thunderstorms will develop during the late morning, afternoon, and early evening hours with daytime heating. A few areas may see accumulations of 1 inch or greater, but much of the area will see nothing. Skies, otherwise, should be partly to mostly sunny today with high temperatures in the low 90s. Winds will be light. Lows tonight will fall into the upper 70s for most locations.

Friday and Saturday

With high pressure reaching is broadest expanse into our area, skies will be mostly sunny on both of these days with temperatures in the low- to -mid-90s. Since we are very near to the summer solstice now, please know the Sun is almost directly overhead (an altitude of 84 degrees) during the midday hours. This will burn your skin quickly, so please take precautions. Afternoon dewpoints will be slightly lower on Friday and Saturday so it won’t feel as hot as it will later this summer. Rain chances on both days is 10 percent, or less.

NOAA tropical outlook as of Thursday morning. (National Hurricane Center)

Sunday and beyond

By Sunday our attention will turn toward the Gulf of Mexico. As we’ve been discussing for several days, a tropical disturbance is likely to form in the Bay of Campeche early next week. (The National Hurricane Center now gives the system a 40 percent chance of becoming a tropical depression or tropical storm during the next seven days).

At this point I am fairly confident that high pressure over the southern United States will help to keep this system penned up in the southern Gulf of Mexico, and eventually steer it westward into Mexico (most likely) or South Texas. Although some organization is possible, the main threat from this tropical system is very likely to be heavy rainfall.

Due to the overall steering that we’re expecting, I think rainfall accumulations for the Houston area next week are likely to be manageable. Totals are likely to be highest along the coast, with the potential for 3 to 5 inches, with lesser amounts likely for inland areas. Greater accumulations than this are possible for locations further south, such as the Brownsville area, but uncertainty remains.

NOAA rain accumulation forecast for now through next Wednesday. (Weather Bell)

In the greater Houston area we’re also likely to see stronger onshore winds, perhaps 10 to 20 mph, with higher gusts, associated with the system. Tides may also run 1 to 2 feet higher with a persistent onshore wind. All of this forecast is subject to change if the tropical system evolves differently, but as for now I anticipate our localized effects to be mostly modest.

The bottom line is that much of next week, beginning Sunday, is likely to bring at least partly cloudy skies into the region with the chance for intermittent heavy rainfall. This pattern should help to keep high temperatures in the vicinity of 90 degrees, so a bit cooler than normal. Matt and I will be watching this closely and update as warranted if the forecast substantially changes.

Heavy rain possible next week due to a tropical disturbance in the Gulf of Mexico

In brief: After one more day with storm-o-clock weather this afternoon, Houston will see a sunnier and hotter pattern set in through the first half of the weekend. We’re not going to get super-hot, but it will feel like June out there. By Sunday our attention turns to the Gulf of Mexico, and the potential for tropical rainfall much of next week.


We’re going to see one more day with the potential for scattered to widespread showers and thunderstorms. Conditions will be similar to what we’ve seen on Monday and Tuesday, with storms firing up during the late morning, afternoon, and early evening hours due to a combination of plenty of moisture in the atmosphere, the sea breeze, and an overall perturbed atmosphere. Similar to the last couple of days, a few locations may see accumulations of 1 to 2 inches of rain, whereas most of the area sees considerably less.

Skies will be partly to mostly sunny when it’s not raining, with high temperatures reaching the low 90s for much of Houston. Outside of thunderstorms, winds will be light, around 5 mph from the northwest. Lows tonight will drop into the mid-70s.

Relative humidity on Friday will be, dare I say it, not incredibly high? (Weather Bell)


This will be a bit of a transition day as high pressure builds into our area from the northeast. I can’t rule out some isolated showers and thunderstorms, but most of us will see sunny skies with high temperatures in the low- to mid-90s. Lows will drop into the mid-70s.

Friday and Saturday

These will be sunny and hot days, with highs in the low-to-mid 90s. However, dewpoints will be a bit lower than a classic Houston summer, especially on Friday. This will take some of the sting out of the daytime highs, and make evenings a little more comfortable. Lows on Friday night could drop into the low 70s for much of Houston. Rain chances for both of these days are less than 10 percent.

Sunday and beyond

Starting on Sunday, our attention will need turn to the Southern Gulf of Mexico, where we could see some sort of tropical disturbance develop. Right now I don’t anticipate anything too organized—i.e. with strong, hurricane-force winds. However, whatever does develop is likely to be an efficient conveyor belt to bring Gulf moisture onshore, and therefore serve as a source of moderate to heavy tropical rainfall.

One reason for the uncertainty next week is a broad spread in tropical low locations, shown here on Tuesday evening as forecast by the GFS model. (Weather Bell)

Our best forecast models are split on the evolution of this system, and how far north it moves (this will depend on the strength of high pressure over the southern United States). What I can say is that, beginning Sunday and especially from Monday through Thursday, there will be the potential for heavy rainfall along the Texas coast, including the greater Houston area.

It is a folly to try and predict rainfall totals because there are still so many uncertainties about a forecast for 5 to 10 days from now. But this is the kind of thing where our area could see 1 inch of rainfall, or 10 next week. In any case, most of next week should see a cloudier pattern, and this should help to limit highs in the upper 80s. Matt and I will be keeping a close eye on this, and when we know something, you will.